# Wanted
Give back the whole of the block further below unchanged.
# Data
- - -
No. 1
SrLiNiP2 | GGA-PBE | optimized geometry

Cell: 6.4674 6.4674 6.4674 Å, 141.69 141.69 55.30°
With the nearest neighbours (Å) after each atom.
Element x y z (fractional)
Sr (0.0000, 0.0000, 0.0000)  4 P 2.78, 4 Ni 3.00
Li (0.7500, 0.2500, 0.5000)  8 P 3.19, 4 Ni 3.56, 4 Sr 3.56
Ni (0.5000, 0.5000, 0.0000)  4 P 2.78, 4 Sr 3.00
P (0.1567, 0.6567, 0.5000)  1 P 2.14
P (0.3433, 0.8433, 0.5000)  1 P 2.14

* crystal system: tetragonal
* space-group type: I-4m2
* size of the total moment: 0.0 μB/cell

No. 2
K5BaPd2 | GGA-PBE | optimized geometry

Cell: 10.8636 7.2410 7.2410 Å, 38.18 90.00 90.00°
With the nearest neighbours (Å) after each atom.
Element x y z (fractional)
K (0.0000, 0.0000, 0.0000)  2 Pd 3.38
K (0.1756, 0.2740, 0.2740)  3 Pd 3.32-3.67
K (0.3112, 0.5824, 0.5824)  3 Pd 3.52-3.62, 2 K 3.83
K (0.6888, 0.5824, 0.5824)  3 Pd 3.52-3.62, 2 K 3.83
K (0.8244, 0.2740, 0.2740)  3 Pd 3.32-3.67
Ba (0.5000, 0.8482, 0.8482)  2 Pd 3.11
Pd (0.0000, 0.6762, 0.6762)  8 K 3.32-3.62
Pd (0.5000, 0.2003, 0.2003)  2 Ba 3.11

* crystal system: orthorhombic
* space-group type: Amm2

No. 3
Er3Tm4Ni2Te2 | GGA-PBE | optimized geometry

Cell: 9.2697 9.2697 9.2697 Å, 156.18 66.97 118.45°
With the nearest neighbours (Å) after each atom.
Element x y z (fractional)
Er (0.0000, 0.0000, 0.0000)  3 Te 3.16-3.20
Er (0.4494, 0.5827, 0.8667)  2 Ni 2.77
Er (0.7160, 0.5827, 0.1333)  2 Ni 2.77
Tm (0.0644, 0.3790, 0.6854)  2 Ni 2.77
Tm (0.0833, 0.7299, 0.3534)  2 Ni 2.81, 2 Te 3.14
Tm (0.3765, 0.7299, 0.6466)  2 Ni 2.81, 2 Te 3.14
Tm (0.6936, 0.3790, 0.3146)  2 Ni 2.77
Ni (0.3093, 0.0719, 0.2374)  4 Tm 2.77-2.81, 2 Er 2.77
Ni (0.8345, 0.0719, 0.7626)  4 Tm 2.77-2.81, 2 Er 2.77
Te (0.3371, 0.3371, 0.0000)  3 Er 3.11-3.20, 4 Tm 3.14
Te (0.7350, 0.2350, 0.5000)  6 Er 3.16, 2 Tm 3.18

* crystal system: orthorhombic
* space-group type: Imm2
* size of the total moment: 0.0 μB/cell

No. 4
LiErCdTe3 | GGA-PBE | optimized geometry

Cell: 7.5070 7.5070 11.5639 Å, 90.00 90.00 146.76°
With the nearest neighbours (Å) after each atom.
Element x y z (fractional)
Li (0.2124, 0.7876, 0.7500)  6 Te 3.21-3.39, 2 Cd 3.48
Li (0.7876, 0.2124, 0.2500)  6 Te 3.21-3.39, 2 Cd 3.48
Er (0.0000, 0.0000, 0.0000)  6 Te 3.07-3.26
Er (0.0000, 0.0000, 0.5000)  6 Te 3.07-3.26
Cd (0.4784, 0.5216, 0.2500)  4 Te 2.80-2.82
Cd (0.5216, 0.4784, 0.7500)  4 Te 2.80-2.82
Te (0.1053, 0.8947, 0.2500)  2 Cd 2.82
Te (0.3555, 0.6445, 0.0619)  1 Cd 2.80, 2 Er 3.07
Te (0.3555, 0.6445, 0.4381)  1 Cd 2.80, 2 Er 3.07
Te (0.6445, 0.3555, 0.5619)  1 Cd 2.80, 2 Er 3.07
Te (0.6445, 0.3555, 0.9381)  1 Cd 2.80, 2 Er 3.07
Te (0.8947, 0.1053, 0.7500)  2 Cd 2.82

* crystal system: orthorhombic
* space-group type: Cmcm
* size of the total moment: 0.0 μB/cell

No. 5
CoCuBPt | GGA-PBE | optimized geometry

Cell: 3.9640 3.9640 3.9640 Å, 60.00 60.00 60.00°
With the nearest neighbours (Å) after each atom.
Element x y z (fractional)
Co (0.0000, 0.0000, 0.0000)  4 Cu 2.43, 4 B 2.43
Cu (0.2500, 0.2500, 0.2500)  4 Co 2.43, 4 Pt 2.43
B (0.7500, 0.7500, 0.7500)  4 Pt 2.43, 4 Co 2.43
Pt (0.5000, 0.5000, 0.5000)  4 B 2.43, 4 Cu 2.43

* crystal system: cubic
* space-group type: F-43m
* size of the total moment: 0.1 μB/cell

No. 6
PrGdSb2Te2 | GGA-PBE | optimized geometry

Cell: 4.3386 4.3386 9.4541 Å, 90.00 90.00 90.00°
With the nearest neighbours (Å) after each atom.
Element x y z (fractional)
Pr (0.0000, 0.0000, 0.0000)  5 Te 3.23-3.36, 4 Sb 3.41
Gd (0.5000, 0.5000, 0.4510)  5 Te 3.20-3.26, 4 Sb 3.36
Sb (0.0000, 0.5000, 0.7218)  4 Sb 3.07, 2 Gd 3.36, 2 Pr 3.41
Sb (0.5000, 0.0000, 0.7218)  4 Sb 3.07, 2 Gd 3.36, 2 Pr 3.41
Te (0.0000, 0.0000, 0.3555)  4 Gd 3.20, 1 Pr 3.36
Te (0.5000, 0.5000, 0.1061)  4 Pr 3.23, 1 Gd 3.26

* crystal system: tetragonal
* space-group type: P4mm
* size of the total moment: 0.0 μB/cell

No. 7
Ni3AgS5 | GGA-PBE | optimized geometry

Cell: 5.5211 5.5211 6.1074 Å, 90.00 90.00 120.00°
With the nearest neighbours (Å) after each atom.
Element x y z (fractional)
Ni (0.0000, 0.5000, 0.0000)  4 S 2.20
- - -
# Written answer
No. 1
SrLiNiP2 | GGA-PBE | optimized geometry

Cell: 6.4674 6.4674 6.4674 Å, 141.69 141.69 55.30°
With the nearest neighbours (Å) after each atom.
Element x y z (fractional)
Sr (0.0000, 0.0000, 0.0000)  4 P 2.78, 4 Ni 3.00
Li (0.7500, 0.2500, 0.5000)  8 P 3.19, 4 Ni 3.56, 4 Sr 3.56
Ni (0.5000, 0.5000, 0.0000)  4 P 2.78, 4 Sr 3.00
P (0.1567, 0.6567, 0.5000)  1 P 2.14
P (0.3433, 0.8433, 0.5000)  1 P 2.14

* crystal system: tetragonal
* space-group type: I-4m2
* size of the total moment: 0.0 μB/cell

No. 2
K5BaPd2 | GGA-PBE | optimized geometry

Cell: 10.8636 7.2410 7.2410 Å, 38.18 90.00 90.00°
With the nearest neighbours (Å) after each atom.
Element x y z (fractional)
K (0.0000, 0.0000, 0.0000)  2 Pd 3.38
K (0.1756, 0.2740, 0.2740)  3 Pd 3.32-3.67
K (0.3112, 0.5824, 0.5824)  3 Pd 3.52-3.62, 2 K 3.83
K (0.6888, 0.5824, 0.5824)  3 Pd 3.52-3.62, 2 K 3.83
K (0.8244, 0.2740, 0.2740)  3 Pd 3.32-3.67
Ba (0.5000, 0.8482, 0.8482)  2 Pd 3.11
Pd (0.0000, 0.6762, 0.6762)  8 K 3.32-3.62
Pd (0.5000, 0.2003, 0.2003)  2 Ba 3.11

* crystal system: orthorhombic
* space-group type: Amm2

No. 3
Er3Tm4Ni2Te2 | GGA-PBE | optimized geometry

Cell: 9.2697 9.2697 9.2697 Å, 156.18 66.97 118.45°
With the nearest neighbours (Å) after each atom.
Element x y z (fractional)
Er (0.0000, 0.0000, 0.0000)  3 Te 3.16-3.20
Er (0.4494, 0.5827, 0.8667)  2 Ni 2.77
Er (0.7160, 0.5827, 0.1333)  2 Ni 2.77
Tm (0.0644, 0.3790, 0.6854)  2 Ni 2.77
Tm (0.0833, 0.7299, 0.3534)  2 Ni 2.81, 2 Te 3.14
Tm (0.3765, 0.7299, 0.6466)  2 Ni 2.81, 2 Te 3.14
Tm (0.6936, 0.3790, 0.3146)  2 Ni 2.77
Ni (0.3093, 0.0719, 0.2374)  4 Tm 2.77-2.81, 2 Er 2.77
Ni (0.8345, 0.0719, 0.7626)  4 Tm 2.77-2.81, 2 Er 2.77
Te (0.3371, 0.3371, 0.0000)  3 Er 3.11-3.20, 4 Tm 3.14
Te (0.7350, 0.2350, 0.5000)  6 Er 3.16, 2 Tm 3.18

* crystal system: orthorhombic
* space-group type: Imm2
* size of the total moment: 0.0 μB/cell

No. 4
LiErCdTe3 | GGA-PBE | optimized geometry

Cell: 7.5070 7.5070 11.5639 Å, 90.00 90.00 146.76°
With the nearest neighbours (Å) after each atom.
Element x y z (fractional)
Li (0.2124, 0.7876, 0.7500)  6 Te 3.21-3.39, 2 Cd 3.48
Li (0.7876, 0.2124, 0.2500)  6 Te 3.21-3.39, 2 Cd 3.48
Er (0.0000, 0.0000, 0.0000)  6 Te 3.07-3.26
Er (0.0000, 0.0000, 0.5000)  6 Te 3.07-3.26
Cd (0.4784, 0.5216, 0.2500)  4 Te 2.80-2.82
Cd (0.5216, 0.4784, 0.7500)  4 Te 2.80-2.82
Te (0.1053, 0.8947, 0.2500)  2 Cd 2.82
Te (0.3555, 0.6445, 0.0619)  1 Cd 2.80, 2 Er 3.07
Te (0.3555, 0.6445, 0.4381)  1 Cd 2.80, 2 Er 3.07
Te (0.6445, 0.3555, 0.5619)  1 Cd 2.80, 2 Er 3.07
Te (0.6445, 0.3555, 0.9381)  1 Cd 2.80, 2 Er 3.07
Te (0.8947, 0.1053, 0.7500)  2 Cd 2.82

* crystal system: orthorhombic
* space-group type: Cmcm
* size of the total moment: 0.0 μB/cell

No. 5
CoCuBPt | GGA-PBE | optimized geometry

Cell: 3.9640 3.9640 3.9640 Å, 60.00 60.00 60.00°
With the nearest neighbours (Å) after each atom.
Element x y z (fractional)
Co (0.0000, 0.0000, 0.0000)  4 Cu 2.43, 4 B 2.43
Cu (0.2500, 0.2500, 0.2500)  4 Co 2.43, 4 Pt 2.43
B (0.7500, 0.7500, 0.7500)  4 Pt 2.43, 4 Co 2.43
Pt (0.5000, 0.5000, 0.5000)  4 B 2.43, 4 Cu 2.43

* crystal system: cubic
* space-group type: F-43m
* size of the total moment: 0.1 μB/cell

No. 6
PrGdSb2Te2 | GGA-PBE | optimized geometry

Cell: 4.3386 4.3386 9.4541 Å, 90.00 90.00 90.00°
With the nearest neighbours (Å) after each atom.
Element x y z (fractional)
Pr (0.0000, 0.0000, 0.0000)  5 Te 3.23-3.36, 4 Sb 3.41
Gd (0.5000, 0.5000, 0.4510)  5 Te 3.20-3.26, 4 Sb 3.36
Sb (0.0000, 0.5000, 0.7218)  4 Sb 3.07, 2 Gd 3.36, 2 Pr 3.41
Sb (0.5000, 0.0000, 0.7218)  4 Sb 3.07, 2 Gd 3.36, 2 Pr 3.41
Te (0.0000, 0.0000, 0.3555)  4 Gd 3.20, 1 Pr 3.36
Te (0.5000, 0.5000, 0.1061)  4 Pr 3.23, 1 Gd 3.26

* crystal system: tetragonal
* space-group type: P4mm
* size of the total moment: 0.0 μB/cell

No. 7
Ni3AgS5 | GGA-PBE | optimized geometry

Cell: 5.5211 5.5211 6.1074 Å, 90.00 90.00 120.00°
With the nearest neighbours (Å) after each atom.
Element x y z (fractional)
Ni (0.0000, 0.5000, 0.0000)  4 S 2.20